# Assignment
Duplicate everything below word for word, please.

# Given
The following is a DFT calculation (ωB97M-V/def2-TZVPD) of C23H40IO3Si4TeTi as an isolated structure at a distorted geometry.

CARTESIAN COORDINATES (ANGSTROEM)
Ti1 0.168 -0.016 -0.455
I1 2.382 1.705 -0.212
C1 1.203 -1.020 -1.985
C2 2.328 -1.277 -2.724
C3 2.548 -2.570 -3.248
C4 1.669 -3.600 -3.013
C5 0.508 -3.386 -2.239
C6 -0.456 -4.372 -1.932
C7 -1.545 -4.055 -1.157
C8 -1.742 -2.753 -0.649
C9 -0.865 -1.737 -0.952
C10 0.279 -2.073 -1.744
H1 3.053 -0.493 -2.919
H2 3.441 -2.756 -3.836
H3 1.857 -4.588 -3.421
H4 -0.326 -5.381 -2.312
H5 -2.272 -4.825 -0.923
H6 -2.608 -2.568 -0.022
C11 -0.123 -1.963 3.202
C12 0.294 -0.767 2.370
C13 1.060 0.258 3.195
O1 1.148 -1.189 1.264
C14 -0.966 -0.087 1.749
O2 -2.072 -0.427 2.115
O3 -0.701 0.860 0.895
H7 0.725 -2.348 3.772
H8 -0.532 -2.745 2.557
H9 -0.910 -1.667 3.891
H10 1.915 -0.222 3.673
H11 0.410 0.677 3.966
H12 1.422 1.061 2.554
H13 1.237 -2.145 1.295
C15 -2.228 5.096 -2.569
Si1 -3.553 3.852 -3.087
C16 -4.570 4.662 -4.478
C17 -4.743 3.636 -1.623
Si2 -2.612 1.822 -3.824
Te1 -0.458 1.437 -2.583
Si3 -1.714 2.088 -5.985
C18 -2.956 2.410 -7.390
C19 -0.755 0.525 -6.468
C20 -0.501 3.544 -5.992
Si4 -4.290 0.180 -3.814
C21 -3.699 -1.470 -4.535
C22 -5.705 0.807 -4.923
C23 -5.060 -0.187 -2.122
H14 -2.663 6.009 -2.154
H15 -1.601 5.374 -3.420
H16 -1.568 4.659 -1.815
H17 -5.039 5.592 -4.148
H18 -5.361 3.992 -4.824
H19 -3.935 4.893 -5.338
H20 -5.056 4.603 -1.221
H21 -4.273 3.074 -0.812
H22 -5.643 3.094 -1.925
H23 -3.622 1.555 -7.534
H24 -2.435 2.589 -8.333
H25 -3.579 3.283 -7.180
H26 -1.430 -0.315 -6.651
H27 -0.083 0.238 -5.656
H28 -0.154 0.676 -7.368
H29 -1.027 4.501 -5.926
H30 0.112 3.558 -6.896
H31 0.167 3.472 -5.130
H32 -3.384 -1.347 -5.575
H33 -4.487 -2.226 -4.509
H34 -2.844 -1.857 -3.975
H35 -5.326 1.111 -5.903
H36 -6.188 1.679 -4.474
H37 -6.472 0.045 -5.081
H38 -4.303 -0.510 -1.403
H39 -5.811 -0.978 -2.195
H40 -5.547 0.700 -1.710

Results
E = -3699.51100 Ha
Gap between HOMO and LUMO = 6.0 eV
LUMO level = 1.985 eV
HOMO level = -0.1458 hartree
Charge = -1

* * * * *

The following is a DFT calculation (wB97M-V/def2-TZVPD) of 3 unconnected molecules or ions with the total composition C15H21BO2 in a non-equilibrium geometry.

Calculated values
- Energy relative to the best compared isomer or geometry (same formula, charge and spin): 0.428 eV
- Total charge: 0

CARTESIAN COORDINATES (ANGSTROEM)
1 B -1.120325 0.158719 -0.588052
2 O -1.921302 -0.959318 -0.859649
3 C -2.973180 -0.662537 -1.786680
4 C -4.273777 -0.201924 -1.091575
5 C -4.339835 1.325209 -0.788096
6 O -4.443158 -1.001726 0.076172
7 H -0.327030 0.187245 0.288063
8 H -1.321347 1.123897 -1.259759
9 H -2.621687 0.023961 -2.567094
10 H -3.193286 -1.619387 -2.287542
11 H -5.139144 -0.438159 -1.732938
12 H -5.324675 1.738713 -1.014414
13 H -3.554474 1.810427 -1.386022
14 H -4.048663 1.498880 0.261631
15 H -4.659737 -0.410329 0.790311
16 C 1.332683 -2.446358 -1.429466
17 C 2.017403 -1.632405 -2.323358
18 C 3.326001 -1.935157 -2.678487
19 C 3.947145 -3.058134 -2.146294
20 C 3.261363 -3.874329 -1.255280
21 C 1.955761 -3.566621 -0.893618
22 H 0.313497 -2.209227 -1.150797
23 H 1.530639 -0.760260 -2.743749
24 H 3.861420 -1.297033 -3.370391
25 H 4.965449 -3.296997 -2.426322
26 H 3.745346 -4.750473 -0.841945
27 H 1.423206 -4.199738 -0.195239
28 C 1.482634 3.654702 2.123943
29 C 1.311503 3.806580 3.494193
30 C 1.289747 2.689745 4.319930
31 C 1.448136 1.420858 3.776160
32 C 1.622603 1.269175 2.406462
33 C 1.635892 2.385563 1.579767
34 H 1.496566 4.525199 1.479994
35 H 1.194477 4.795927 3.918665
36 H 1.150221 2.807845 5.387172
37 H 1.435683 0.550591 4.420230
38 H 1.747562 0.280261 1.982753
39 H 1.766685 2.266611 0.511321

Force components x, y, z for each atom (eV/Å):
B -1.2 -1.2 -0.3
O 1.1 2.4 0.3
C -0.5 -1.4 -0.4
C -0.3 0.4 0.1
C 1.0 -0.8 0.0
O 0.0 0.0 -0.4
H 0.1 -0.4 0.1
H 0.2 0.1 0.0
H -0.2 0.1 0.3
H 0.1 0.3 0.2
H 0.5 0.0 -0.3
H 0.2 0.0 0.2
H -0.5 0.2 0.1
H -0.3 0.1 -0.3
H -0.1 0.1 0.4
C 0.0 0.0 0.0
C 0.0 0.0 0.0
C 0.0 0.0 0.0
C -0.1 0.0 0.0

# Result
The following is a DFT calculation (ωB97M-V/def2-TZVPD) of C23H40IO3Si4TeTi as an isolated structure at a distorted geometry.

CARTESIAN COORDINATES (ANGSTROEM)
Ti1 0.168 -0.016 -0.455
I1 2.382 1.705 -0.212
C1 1.203 -1.020 -1.985
C2 2.328 -1.277 -2.724
C3 2.548 -2.570 -3.248
C4 1.669 -3.600 -3.013
C5 0.508 -3.386 -2.239
C6 -0.456 -4.372 -1.932
C7 -1.545 -4.055 -1.157
C8 -1.742 -2.753 -0.649
C9 -0.865 -1.737 -0.952
C10 0.279 -2.073 -1.744
H1 3.053 -0.493 -2.919
H2 3.441 -2.756 -3.836
H3 1.857 -4.588 -3.421
H4 -0.326 -5.381 -2.312
H5 -2.272 -4.825 -0.923
H6 -2.608 -2.568 -0.022
C11 -0.123 -1.963 3.202
C12 0.294 -0.767 2.370
C13 1.060 0.258 3.195
O1 1.148 -1.189 1.264
C14 -0.966 -0.087 1.749
O2 -2.072 -0.427 2.115
O3 -0.701 0.860 0.895
H7 0.725 -2.348 3.772
H8 -0.532 -2.745 2.557
H9 -0.910 -1.667 3.891
H10 1.915 -0.222 3.673
H11 0.410 0.677 3.966
H12 1.422 1.061 2.554
H13 1.237 -2.145 1.295
C15 -2.228 5.096 -2.569
Si1 -3.553 3.852 -3.087
C16 -4.570 4.662 -4.478
C17 -4.743 3.636 -1.623
Si2 -2.612 1.822 -3.824
Te1 -0.458 1.437 -2.583
Si3 -1.714 2.088 -5.985
C18 -2.956 2.410 -7.390
C19 -0.755 0.525 -6.468
C20 -0.501 3.544 -5.992
Si4 -4.290 0.180 -3.814
C21 -3.699 -1.470 -4.535
C22 -5.705 0.807 -4.923
C23 -5.060 -0.187 -2.122
H14 -2.663 6.009 -2.154
H15 -1.601 5.374 -3.420
H16 -1.568 4.659 -1.815
H17 -5.039 5.592 -4.148
H18 -5.361 3.992 -4.824
H19 -3.935 4.893 -5.338
H20 -5.056 4.603 -1.221
H21 -4.273 3.074 -0.812
H22 -5.643 3.094 -1.925
H23 -3.622 1.555 -7.534
H24 -2.435 2.589 -8.333
H25 -3.579 3.283 -7.180
H26 -1.430 -0.315 -6.651
H27 -0.083 0.238 -5.656
H28 -0.154 0.676 -7.368
H29 -1.027 4.501 -5.926
H30 0.112 3.558 -6.896
H31 0.167 3.472 -5.130
H32 -3.384 -1.347 -5.575
H33 -4.487 -2.226 -4.509
H34 -2.844 -1.857 -3.975
H35 -5.326 1.111 -5.903
H36 -6.188 1.679 -4.474
H37 -6.472 0.045 -5.081
H38 -4.303 -0.510 -1.403
H39 -5.811 -0.978 -2.195
H40 -5.547 0.700 -1.710

Results
E = -3699.51100 Ha
Gap between HOMO and LUMO = 6.0 eV
LUMO level = 1.985 eV
HOMO level = -0.1458 hartree
Charge = -1

* * * * *

The following is a DFT calculation (wB97M-V/def2-TZVPD) of 3 unconnected molecules or ions with the total composition C15H21BO2 in a non-equilibrium geometry.

Calculated values
- Energy relative to the best compared isomer or geometry (same formula, charge and spin): 0.428 eV
- Total charge: 0

CARTESIAN COORDINATES (ANGSTROEM)
1 B -1.120325 0.158719 -0.588052
2 O -1.921302 -0.959318 -0.859649
3 C -2.973180 -0.662537 -1.786680
4 C -4.273777 -0.201924 -1.091575
5 C -4.339835 1.325209 -0.788096
6 O -4.443158 -1.001726 0.076172
7 H -0.327030 0.187245 0.288063
8 H -1.321347 1.123897 -1.259759
9 H -2.621687 0.023961 -2.567094
10 H -3.193286 -1.619387 -2.287542
11 H -5.139144 -0.438159 -1.732938
12 H -5.324675 1.738713 -1.014414
13 H -3.554474 1.810427 -1.386022
14 H -4.048663 1.498880 0.261631
15 H -4.659737 -0.410329 0.790311
16 C 1.332683 -2.446358 -1.429466
17 C 2.017403 -1.632405 -2.323358
18 C 3.326001 -1.935157 -2.678487
19 C 3.947145 -3.058134 -2.146294
20 C 3.261363 -3.874329 -1.255280
21 C 1.955761 -3.566621 -0.893618
22 H 0.313497 -2.209227 -1.150797
23 H 1.530639 -0.760260 -2.743749
24 H 3.861420 -1.297033 -3.370391
25 H 4.965449 -3.296997 -2.426322
26 H 3.745346 -4.750473 -0.841945
27 H 1.423206 -4.199738 -0.195239
28 C 1.482634 3.654702 2.123943
29 C 1.311503 3.806580 3.494193
30 C 1.289747 2.689745 4.319930
31 C 1.448136 1.420858 3.776160
32 C 1.622603 1.269175 2.406462
33 C 1.635892 2.385563 1.579767
34 H 1.496566 4.525199 1.479994
35 H 1.194477 4.795927 3.918665
36 H 1.150221 2.807845 5.387172
37 H 1.435683 0.550591 4.420230
38 H 1.747562 0.280261 1.982753
39 H 1.766685 2.266611 0.511321

Force components x, y, z for each atom (eV/Å):
B -1.2 -1.2 -0.3
O 1.1 2.4 0.3
C -0.5 -1.4 -0.4
C -0.3 0.4 0.1
C 1.0 -0.8 0.0
O 0.0 0.0 -0.4
H 0.1 -0.4 0.1
H 0.2 0.1 0.0
H -0.2 0.1 0.3
H 0.1 0.3 0.2
H 0.5 0.0 -0.3
H 0.2 0.0 0.2
H -0.5 0.2 0.1
H -0.3 0.1 -0.3
H -0.1 0.1 0.4
C 0.0 0.0 0.0
C 0.0 0.0 0.0
C 0.0 0.0 0.0
C -0.1 0.0 0.0